Warning for Death in this chapter (In a dream), nothing too graphic

It's kind of hard to enjoy a road trip until you remember what you're fighting for.

-Dick Grayson

He's on the high wire this time. His parents always let him go on it, but only with their permission. Both the stage area and the mount were both deserted. He'd always felt more comfortable on the trapeze (after all, where was a Grayson more comfortable than in the air?), but as always, his practiced reflexes seemed to stretch as he launched himself into a run onto the wire.

Completing his move with a flip, he grins at the crowd.

Except there's no one in the crowd (why is that a surprise?), but there are two lumps on the ground below him, covered with a white sheet. That…can't be right.

There's something not right.

He almost jumps down off the wire to check what's going on, but then catches himself. Fifty feet down might be faster, but it sure as hell wasn't going to leave him in one piece. Instead, he pauses on the wire and moves to turn around.

The wire shakes more than it should and he realizes someone else has gotten on at the other side.

"Rachel?" he squints, confirming, "Rachel, you need to get off the wire, it's dangerous."

"Dangerous?" Rachel scoffs, taking another step. She's fully on the wire, now, "You really want to talk about danger?" She points to the ground, at the white sheets that leave knots in his stomach that he doesn't understand. "You put them there."

Dick stumbles back on the wire as memories flash in his mind.

"I didn't-" he can't finish before the circus twists around him. He's down near the bodies under the sheets all of a sudden, and he can't remember how he got down. The wire trembles slightly above him, and Rachel is nowhere to be seen. Air whirs behind him and he turns quickly on a whim. A throwing star whips past him, drawing blood on his cheek, a thin line that stings only slightly. Jason is standing in front of him, a terrified expression on his face.

"What did you do?" he demands, his voice shaking, "What did you do?"

The kid looks so scared Dick actually holds his hands up, showing that he's unarmed.

It's only then when he sees the blood all over himself and the floor. The red mingles with the Robin suit he's wearing, acting as some sort of macabre camouflage.

The bodies are lying on a cold stone floor, white sheets covering their faces. There is a red steadily seeping through them, though, and Dick approaches them slowly.

Jason makes a small sound in the back of his throat that might have been a whimper, and it kind of makes Dick want to be sick. Nevertheless, he carefully peels back the sheet, revealing the face of his foster father.


Bruce Wayne is lying on the floor of the Batcave. Dead.

"Stay away from them!" Jason screams, giving him a shove. He keeps advancing, but Dick holds him back by the shoulders. There's a horrible sense of deja vu here, and all he can think is that this can't be happening.

That's when he realizes the sheet has shifted a bit off the other body, uncovering the arm. It's not much, but it's enough. A glimpse of a crisp black suit, a cracked watch face, a wrinkled hand.

"Alfred?" he calls, voice breaking. He can't feel the wetness through his uniform, but his hands are slick.

Robin's not wearing a mask.

Jason's managed to loosen Dick's grip and he lunges for him again.

"Why?" he hisses, "Is this enough? Are you free now?"

No. Dick wants to say. No, this isn't what I wanted.

His hands reach out on their own, and suddenly, Jason is lying slack on the ground next to him, eyes open, body limp. He's dead.

They all are.

They've escaped, they thought it was all over, but they're dead.

Everyone is. Every time, everyone except Dick.

Deathstroke appears, circling him as the bodies double, triple, multiply forever. Everyone he's ever met, everyone he's ever spoken to, ever loved.

They're all dying or dead.

"I told you, Grayson," Slade Wilson whispers from behind him, "You always live, even when the good don't."

He gestures to Jericho, Rachel, Gar. The green haired boy has dark bruises on his throat and as Dick looks down at his hands in horror, he can see little scratch marks where Gar tried to pry his hands away.

Kory is propped up on the side of the wall, next to Donna. There's no way he could kill them, either of them, they've helped him so much, and they're too powerful and-

They're dead.

"You don't deserve them," Slade mutters, "And they're going to notice soon."

With the last word, he plunges one of his curved swords into Dick's chest inches from his heart.

That's when Dick starts to scream.

He's barely awake in his bed, trying to get the white covers off of him, because he's not dead, he's not, even though it might feel like it inside. His palms sting, but he clamps his mouth shut before any sound can escape it and focuses on lying limp. The covers seem to relax their hold on him, and he looks to the side, watching Rachel sleep peacefully in the other bed.

Little breathes heave out of her mouth every few seconds, and Dick watches her for a couple of solid minutes before his eyes begin to burn. He feels numb, on edge, as if he's waiting for something to happen. As if he's been waiting for things to happen all along, and even though things have happened, it's not what was supposed to happen. That thought doesn't make sense, even to him. He should know by now that running isn't the answer, but he has the urge to leave the hotel room, even just for a short walk. Just get somewhere where he can't hurt anyone anymore.

But if he leaves, he doesn't trust himself to come back in.

Running a hand through his sweaty hair, he inspects his burning palms. Five neat crescent moons line each palm, each welling up slightly with blood. One of them seems a bit deeper than the others, and it slowly stops to well over.

The feeling of blood on his hands is eerily familiar, and entirely unwelcome. He gags, dry-heaving, but he hasn't eaten anything today, and his body honestly doesn't have enough energy to throw up. Instead, he presses his head against the wall, trying to think of nothing at all.

Needless to say, it doesn't work.

At least his mind isn't tricking him, making him see monsters in shadows and hear voices. After that dream, his subconscious is probably all worn out. Decisively, he pushes the covers away and stands up, swaying only slightly. Instead of heading towards the door, he walks to the room's small, questionably clean bathroom, pulling out the cheap burner phone that had been burning a lump in his pocket.

He had broken his phone in the fight with Trigon, screen cracked clean through, but he had managed to swipe a burner phone when the gas station worker hadn't been looking. After all, being seen buying a burner kind of defeated the whole purpose of it.

He made sure to tip extra for it, though.

Dick powers it on, sliding to the ground with his back leaning against the bathroom door. The floor was no cleaner than the rest of the room, but he had to make the call. If he was being honest, he wanted to make a bunch of calls, to everyone he had seen, or hadn't seen, but he couldn't disturb anyone, and even though Bruce, the only one awake at this time, would pick up a burner number, he didn't feel up to talking to him.

Trying to calm his racing heart, he checks the time. 1:19 AM. He's only been asleep for a few hours, and he's still exhausted, but he can't think of going back to sleep.

He'll only see the same faces again.

In the end, he nearly chickens out, but he decides to call Kory before he can do anything stupid. He'd memorized her number without even thinking about it, but after he dials and hears the first ring, it's so loud that it jars his thoughts.

What if she's asleep? What if she's in the middle of a fight, and this distracts her, and-

"What's going on, Grayson?" Kory's voice comes from the burner, slightly distorted but preserving its positive quality, "Everything okay?"

He lets out a breath and closes his eyes, leaning back against the door. "How did you know it was me?"

On the other side of the line, Kory laughs. She has no idea, no idea what it means that she can come through this and still laugh.

"Who else is going to call me this early on a phone number I don't recognize?"

Dick felt the ghost of a smile on his face. "Yeah, I-" his voice broke.


Dick let out a shuddering breath, pressing the phone to his cheek. "I can't do this, Kori, I just can't."

"Dick, what happened?" Kori's talking faster, and he can't really tell through the terrible quality, but that might be concern in her voice, "Come on, talk to me. Is anyone hurt? Are you hurt?"

"No," he whispers, "No, I'm just- it's- it's really nothing, I'm sorry for waking you up."

Kori starts to say something, but before she can finish, someone interrupts her.

"Is that Dick?" Donna's voice asks. Kori must have nodded, because suddenly, Donna's on the phone, too.

"What's wrong?" Donna asks quickly, and Dick wants to laugh, he really does, but it comes out more like a choked breath.

"Why does something have to be wrong?" he asks, and suddenly, he feels so, so stupid for calling, for hiding in the bathroom like he's afraid of himself, like he doesn't know what to do.

He doesn't know what to do.

Donna just sighs. "Come on, Dick, I always know when something's wrong. Older-"

"Yeah, I know!" he says, probably more rudely than he had wanted to, "I know, okay?"

He scrubs a hand through his hair and tries to remember why he called in the first place.

"You're both okay, right?"

"Dick, you saw us, like, a few hours ago. Are you okay?" Donna's always been good at this, at seeing through the lies even when he can't, of getting him to tell the truth.

He lets out another shaky breath. "No. I'm not. I can't do this, I can't stay with these kids and I can't teach them to be better than we were, Donna. As long as I'm with them, everything's going to be wrong."

"Dick, Slade's dead," Donna says, in the gentlest voice possible. A worm of guilt festers in his heart. She still doesn't know, none of them know, the real story of how Jericho died. They can't know how much of it is his fault. He ruined their lives, he knows, and he just keeps doing it.

"Okay, give me the phone," Kori's voice is soft, "Dick, do you remember what you asked me when we first met?"

"Something along the lines of, 'Where's Rachel?"

Dick can practically hear her rolling her eyes on the other end of the line. "No, after that. You asked me where I was from."

"And you didn't know," Dick shrugs, "So what?"

"And you didn't know where Rachel was from, but you still wanted to help her."

"Yes, but-"

"Dick, you're one of the good guys. It doesn't matter where someone's from or who they are, you always want to help them," she says, "That means you're good."

Dick lets out a sharp laugh. He doesn't know how exactly, she knew that was what he needed to hear, but at the same time, it's not enough. He's not enough, even though she is.

"People don't always try to hurt other people," his voice sounds foreign, "They do, anyway."

"You're an idiot," Donna interrupts, and Dick grins, despite himself, "You're not who you were years ago, and you just helped save the world. Cut yourself some slack, and go to sleep. Text us in the morning, okay?"

"Bye, Mom," Dick rolls his eyes, but he can't deny that he feels lighter, and more like himself, "And bye, Kori. Thank you."

"Anytime," the quick response comes. The line stays on for a few seconds longer, then clicks shut.

If they're alive enough to boss him around, they're really alive. That's what Dick can promise himself to do, for himself, for all of them. He can help them live, train them to be better than him, to have their own lives, and to not get lost in all of the violence.

He's not perfect, but he doesn't need to be.

He just needs to help.

Inserted here: quantum chemistry results:
........
Below is 8 unconnected molecules or ions with the total composition C3H21NO8S in a non-equilibrium geometry, with properties calculated with wB97M-V/def2-TZVPD.

Geometry as XYZ:
```
34
Properties=species:S:1:pos:R:3:forces:R:3
C 1.635 1.054 0.580 0.75 -1.33 0.50
C 1.258 1.902 -0.602 -0.22 1.06 -0.48
S 1.761 3.666 -0.312 -0.22 -0.22 -0.31
N 0.632 0.006 0.833 0.12 1.45 0.83
C 1.011 -0.902 1.884 -0.17 -2.22 -1.69
O 0.773 -2.260 1.500 0.03 0.10 -0.99
H 2.668 0.616 0.450 -0.59 -0.02 -0.38
H 1.802 1.600 1.523 -0.59 0.28 -0.55
H 0.175 1.791 -0.832 0.32 0.30 0.52
H 1.706 1.556 -1.538 0.30 -0.13 0.24
H 0.219 -0.401 0.016 0.04 -0.25 -0.12
H 0.361 -0.907 2.755 0.47 1.17 0.71
H 2.105 -0.751 2.002 -0.44 0.05 0.90
H -1.654 -1.909 -0.434 -0.34 0.00 0.46
H -1.483 -2.261 1.015 0.03 -0.13 -0.03
O -2.185 -2.202 0.346 0.26 0.25 -0.11
H -2.393 1.756 -1.873 0.09 0.02 0.40
H -3.359 2.237 -0.739 0.43 -0.14 0.06
O -3.250 2.152 -1.689 -0.48 0.10 -0.41
H 0.249 3.402 1.423 0.21 -0.20 -0.23
H -0.507 2.056 1.520 0.28 0.00 -0.10
O -0.274 2.839 2.032 -0.58 0.19 0.48
H 2.301 -2.220 -0.804 -0.06 -0.46 -0.04
H 1.074 -2.450 0.458 0.06 -0.22 1.55
O 1.541 -2.827 -0.799 0.20 1.23 -0.31
H 0.507 -1.905 -1.196 -0.65 -0.75 -0.85
H -0.734 -2.389 -2.057 0.16 0.17 0.14
O -0.430 -1.550 -1.676 0.12 -0.36 0.35
H 0.277 -1.152 -3.205 0.88 0.15 0.05
H 1.812 -1.269 -3.166 -0.15 -0.09 0.18
O 1.086 -1.090 -3.768 -0.31 0.12 -0.66
H -2.324 0.841 2.586 -0.14 0.23 0.02
H -3.128 0.189 1.504 -0.12 -0.07 0.11
O -3.234 0.782 2.264 0.32 -0.27 -0.25
```
Forces are in eV/Å.

Summary:
Kohn-Sham gap	6.217	eV
energy	-1181.76950	hartree
energy relative to the best compared isomer or geometry (same formula, charge and spin)	68.4	kJ/mol
LUMO energy	5.49	eV
total charge	-2
spin multiplicity	1

***

Below is a molecular structure, C48H42As2BN7ReS in a non-equilibrium geometry, with properties calculated with wB97M-V/def2-TZVPD.

Geometry as XYZ:
```
102
Properties=species:S:1:pos:R:3:forces:R:3
Re 0.284 -0.513 1.688 1.10 -0.51 0.73
C 3.037 -4.475 -2.044 -0.06 0.01 0.05
C 2.914 -3.083 -1.935 0.06 -0.20 -0.15
N 2.035 -2.743 -1.000 -0.50 -1.26 0.22
N 1.579 -3.903 -0.485 -0.38 -0.68 0.01
C 2.178 -4.958 -1.092 -0.07 -0.23 -0.17
B 0.937 -4.008 0.895 0.43 0.28 -0.60
N -0.516 -3.475 1.087 -0.14 -0.15 -0.10
C -1.602 -4.248 1.181 0.07 0.19 -0.04
C -2.672 -3.490 1.639 -0.05 0.14 0.00
C -2.153 -2.222 1.815 -0.15 -0.35 0.01
N -0.852 -2.216 1.456 0.01 0.29 -0.06
N 1.860 -3.188 1.841 -0.09 -0.19 0.61
C 2.933 -3.703 2.445 -0.03 0.27 0.01
C 3.733 -2.669 2.918 -0.04 0.13 0.00
C 3.058 -1.518 2.563 0.28 -0.03 0.12
N 1.926 -1.837 1.908 -0.45 0.64 -0.33
H 3.672 -5.028 -2.714 -0.03 -0.03 0.01
H 3.459 -2.333 -2.485 -0.14 -0.15 -0.05
H 1.938 -5.972 -0.819 0.03 0.01 0.08
H 0.930 -5.154 1.209 -0.01 -0.08 0.20
H -1.557 -5.293 0.925 0.09 -0.02 0.04
H -3.677 -3.825 1.826 0.00 0.00 0.02
H -2.626 -1.332 2.199 0.03 -0.02 -0.05
H 3.072 -4.769 2.505 -0.01 -0.02 -0.12
H 4.664 -2.750 3.449 0.01 0.01 -0.02
H 3.321 -0.489 2.751 -0.08 0.02 0.00
........
So much for the quantum chemistry results:

He'll never be able to right the wrongs he's caused, take back the hurt that he's created, but he can try to soothe it, to teach people to learn from them.

He can be a Titan again.

He doesn't know how long he sits there, leaning against the bathroom door, just thinking about how he could do this, how he could start fixing things, for everyone. The only thing that startles him out of his stupor is Rachel's voice, coming from the room.

"Dick?" she calls, then her voice turns urgent and loud, "Dick! HELP!"

Immediately, he's off like a shot, throwing the door open, staff at the ready, in a battle position. He curses himself for not keeping watch, for allowing himself to drop his guard. What he sees, though, makes him drop his staff and rush towards Rachel.

She's not yelling right now, but her eyes are closed, and she's clearly asleep, taking deep labored breaths.

There's also the matter that she's hovering a few feet above the bed, and surrounded with a ring of purplish black shards of energy. There's no one else in sight. She's clearly dreaming, but that doesn't make it any less dangerous. He can't fight his way through the shards, and he can't exactly walk through it. He can't hurt her, and hurting himself wouldn't help the others either.

Rachel lets out a sob. "I'm sorry," she whispers, and Dick isn't sure who she's talking to, but that doesn't change the facts that she's breaking his heart.

"Rachel, you're safe," Dick promises, "But you need to wake up, do you hear me?"

Rachel lets out another sob. "I didn't mean to!"

Dick's hands clench into his fists, making the small cuts on his palm sting a bit more. She can't hear anything he's saying, and there's nothing he can do. This feeling of powerlessness is familiar, but that doesn't make the burn of shame any less.

He can't fail these kids. He can't fail Rachel.

So instead, he stands as close to the shards as he can and whispers, "I'm here, Rach, I'm not going to leave you. I won't leave you, you hear me? I promise."

His voice breaks, but the curtain of shards thins, just a little, so he keeps going. He tells her about the Titans tower, and how much she's going to love San Francisco. He tells her about fun things, stupid things, settling down, cross-legged, on the floor next to the bed as he speaks. He speaks for the better part of an hour, running his voice slightly hoarse. The shards start to thin, turning transparent and shifting slightly. Rachel lowers a few inches at a time, but he still doesn't dare stop talking until she's completely on the bed, and the shards have all disappeared.

She sniffs in her sleep and shifts to her right side. Dick lets out a little laugh. Somehow, through all this, she's managed to stay asleep. That's good; she deserves all the rest she can get, and then some. There's no evidence of anything having happened, the gem isn't glowing in her forehead, and she looks peaceful.

That's when he realizes he's not going to tell her about this. After seeing how excited she was to be normal, Dick refuses to be the one that ruins her life like this. She'd been dozing in the car, and nothing like this had happened. It had probably been a one-time thing, a product of the long day she'd had. It wouldn't happen again, he promised himself as he yawned slightly.

Rachel deserved to have the life she wanted. Not controlled by him, a demon, or anyone else. That was what all the kids deserved, and that was what he would stay to give them.

He promised.

A/N: What's up? Looks like things have started to look up, in my life, and in the fic! Hope everyone is staying safe!!!

Next chapter is Rachel, and I'm going to try to get it done sooner. Comments are good for the soul!

~ S